When I applied for it, I have to admit that I didn't really know what it was I was signing up for or even if it was really something that I wanted to do, but I knew I needed to open my eyes to new ways of advertising for my small struggling to be noticed Bed &Breakfast business - Acorns of Lyndhurst.
As I was actually only offered the last place due to someone else dropping out at the last minute I had missed out on the introductory and familiarisation session, so on the first actual meeting I felt very nervous & a little out of my depth. I walked into the room and immediately noticed that I was going to be part of a team consisting of My New Forest, which is only part of the official New Forest Tourism Board who promotes everything & everyone in the area extremely well by using all the latest media's already! Then as we mingled and introduced ourselves it became even clearer to me that I was the weakest link in the room, the others are: Exbury Gardens, Hotel Terravina, The Greenhouse Hotel, Daisybank Cottage B&B , New Forest Coastal Cottages, Forest Leisure Cycling, Snowtrax and Julia's House. In my mind all of these business's were well established and already using social media very well, and then there was me, the only thing I had any idea of was Facebook but even that was extremely limited. I sat there and thought "what am I doing here?"
The session was lead by Dr Philip Alford & Maureen McAllister who are extremely knowledgeable on marketing and social media but quite down to earth, normal, really nice and friendly people. After listening to everyone else in the team I began to realise that although they were all already using social media and some SEO they still didn't really know what they were doing with it and that they were not quite so far ahead of me as I first feared and they were all so lovely.
Our team or cluster was created - AppsFab!
We each were assigned a final year marketing student to work with for 4 months of the project and my student was Stephen Manns, a really nice young man who clearly had his work cut out being stuck with me. Philip & Maureen each gave a presentation and by the time they had finished I was so excited & fired up about the prospects of this new opportunity that I could hardly wait to get going - the transformation was amazing!
The only problem though, was that once I got back home and was all alone, the task actually seemed overwhelming and because of my lack of understanding I felt like I was banging my head against a brick wall and I went back to being very frustrated about the whole thing. I had been shown the possibilities but I didn't know how or what to do with it.
I did however have the support of Stephen at the end of an e-mail and between us we managed to get the ball rolling. We changed my Facebook account www.facebook.com/Acornsoflyndhurst, to be a business page rather a person, created a Twitter account @acorns_bandb - which at the time I absolutely hated with a passion. I just could not get to grips with the lack of visibility and the coded messaging thing. A blog was created Mel's blog - which I love doing. My website underwent a make over and I learnt a lot about SEO which is quite empowering actually. I started to feel like I had taken control of my destiny now rather than sitting around waiting for something to happen.
In between our official sessions we organised cluster meetings which I have to say were invaluable to me. I learnt more from just talking with my team mates about what they were already doing, what they did and didn't like and what they thought was a good idea, than I did from anyone else really. Don't get me wrong though Steve, Philip & Maureen were great and helped me a lot, but my team mates had experienced and were still experiencing the exact same things that I was experiencing and sharing that knowledge is what kept me going. I knew I could ask these people anything and someone would be able to help.
The main role of the student in my opinion was to focus me and my business on a couple of specific goals so that a strategy could be put in place. The goals we decided up on were: to integrate Twitter, Facebook & Blogging into the business, target specific audiences via the website makeover and a quarterly e-newsletter campaign and to address the SEO of the website. At the end of the students time with us they had to submit a report as part of their final year assignments therefore making the collaboration beneficial to both us. By the time Steve left me we had made some significant improvements but his report did highlight that I still have a way to go, this was never really a quick fix, but a long term strategy.
The final session with Philip & Maureen was yesterday - June 5th and this was all about us giving a short presentation to them showing our journey so far and looking on to where we want to be in 1 years time. This date had been torturing me ever since it was mentioned because I wanted to do something different, exciting and challenging. I wanted to create something that I could proudly put my name to and use it as an advertising tool as well as my homework. After a lot of beating myself up about the lack of ideas Fred & I came up with the idea of an acorn growing and being symbolic of my growing on the project. He showed me the tool to make a film and after many hours of taking pictures in the New Forest, carefully choosing the right ones, editing, choosing the right soundtrack etc, the rest is history ........check it out
Acorns of Lyndhurst digital marketing & social media case study
On the day there was only 5 of us presenting as sadly along the way we lost a few members, but the standard of all of the presentations was amazing, I am proud of all my team mates but especially David, Nina, Cheryl & Nigel you were AppsFab!
I have to just mention though that I did blow them all away with my film and even reduced Maureen to tears. I am not very good at speaking in front of a crowd so the whole idea was freaking me out a bit. David went first and did a launch of his new website, Nina was next and amazed us with her statistics and her amazing blogging achievements, then it was me.
I was really worried at this point because my piece was so far, nothing like anyone else's, and certainly not as factual or statistical and I thought I'd got it all wrong. Anyway I stood at the front my heart in my mouth and said a few words to introduce myself and where I was at before I started this journey, then Maureen loaded my film. My heart was pounding, I could hardly stand up and I was too afraid to look round but I could tell that everyone was stunned. I had a very quick glance round to Philip who was jigging to the music so I took that as a good sign. As it came to end I felt myself getting all emotional and everyone was cheering and clapping, Maureen came straight over and hugged me with tears in her eyes and I knew I'd done ok :)
Cheryl did a really nice visual presentation using her logo - the daisy & daisy chain, it was a really good way of using what she already has and building on it, then for the finale was Nigel. Appsolutely fabulous, normally Nigel is quiet and unassuming just taking it all in, but he found his voice here - he broke out into a rap! The footage will be released soon as it is a must see, but it was great. He had crowd (us) participation, humour and individuality, he just completely took us all by surprise and what a way to end a fantastic day.
No. 1
Here is a geometry-optimized TlBiIr2 structure from the Alexandria database. Energies are from PBE.

a b c (Å): 6.790 6.790 6.790
angles (deg): 90.00 90.00 90.00
Space group Fm-3m (No. 225)
Unique sites:
Tl 0.000 0.000 0.000 [4 per cell]
Bi 0.000 0.000 0.500 [4 per cell]
Ir 0.250 0.250 0.250 [8 per cell]

Output
* formation enthalpy at 0 K: 0.609 eV per atom
* E_tot: -5.383 eV/atom
* size of the total moment: 0.37 μB/f.u.

***

No. 2
Here is a geometry-optimized TlBi2Ir structure from the Alexandria database. Energies are from PBE.

a b c (Å): 6.869 6.869 12.435
angles (deg): 90.00 90.00 90.00
Space group I-42d (No. 122)
Unique sites:
Tl 0.000 0.000 0.000 [4 per cell]
Bi 0.182 0.250 0.625 [8 per cell]
Ir 0.000 0.000 0.500 [4 per cell]

Output
* formation enthalpy at 0 K: 0.373 eV per atom
* E_tot: -4.374 eV/atom
* size of the total moment: 0.00 μB/f.u.

***

No. 3
Here is a geometry-optimized TlBi2Ir structure from the Alexandria database. Energies are from PBE.

a b c (Å): 7.315 7.315 7.315
angles (deg): 90.00 90.00 90.00
Space group Fm-3m (No. 225)
Unique sites:
Tl 0.000 0.000 0.000 [4 per cell]
Bi 0.250 0.250 0.250 [8 per cell]
Ir 0.000 0.000 0.500 [4 per cell]

Output
* formation enthalpy at 0 K: 0.395 eV per atom
* E_tot: -4.352 eV/atom
* size of the total moment: 0.00 μB/f.u.

***

size of the total moment of number 3 (TlBi2Ir)?
0.00 μB/f.u.

***
I think that doing this presentation is one of the most emotional and proudest things I've ever done and although I keep saying it, I really do mean it, without the team including Steve, Philip & Maureen, I never would have done any of it and I genuinely thank you all so much.
If you would love to read your comments about any of my blogs, or if you have any similar experiences why not share them too?